-- Job --
Please echo only the last part of the material further down, starting with the line that has "3.727,".
-- Given --
+++
For Na3MnF8, a structure optimized by DFT (GGA+U) gives the theoretical powder diffractogram in this record (Cu Kα X-rays).
Neutral-atom scattering factors, no anomalous dispersion.

Principal peaks in the range 2θ from 10° to 80°, in order of falling intensity:
- (2 2 0), d 1.863, I = 100
- (1 1 1), d 3.043, I = 75
- (1 0 0), d 5.271, I = 49
- (3 1 1), d 1.589, I = 27
- (1 1 0), d 3.727, I = 15
- (3 2 0), d 1.462, I = 11
- (4 0 0), d 1.318, I = 11
- (3 3 1), d 1.209, I = 11
- (2 2 1), d 1.757, I = 8
- (3 2 1), d 1.409, I = 4

Crystal structure
a = 5.2707 Å, b = 5.2707 Å, c = 5.2707 Å
α = 90.00°, β = 90.00°, γ = 90.00°
Space group Pm-3m (No. 221)
Inequivalent atoms, fractional coordinates:
Na: 0.0000 0.0000 0.5000
Mn: 0.5000 0.5000 0.5000
F: 0.2779 0.2779 0.2779

----------

Diffraction record for La8Tc2Ge. The X-ray powder pattern is simulated, not measured: it uses the GGA-PBE geometry in Alexandria and a wavelength of 1.5418 Å.
Peak positions follow from Bragg's law for the DFT cell and can differ from measured ones.

Structural model:
```
data_La8Tc2Ge
_cell_length_a 8.150
_cell_length_b 8.150
_cell_length_c 5.768
_cell_angle_alpha 98.70
_cell_angle_beta 98.70
_cell_angle_gamma 113.53
_symmetry_space_group_name_H-M 'P 1'
_symmetry_Int_Tables_number 1
loop_
_symmetry_equiv_pos_as_xyz
'x,y,z'
loop_
_atom_site_label
_atom_site_type_symbol
_atom_site_fract_x
_atom_site_fract_y
_atom_site_fract_z
_atom_site_occupancy
La1 La 0.000 0.000 0.000 1
La2 La 0.056 0.307 0.635 1
La3 La 0.142 0.619 0.199 1
La4 La 0.307 0.056 0.635 1
La5 La 0.453 0.705 0.761 1
La6 La 0.619 0.142 0.199 1
La7 La 0.705 0.453 0.761 1
La8 La 0.760 0.760 0.397 1
Tc1 Tc 0.078 0.680 0.697 1
Tc2 Tc 0.680 0.078 0.697 1
Ge1 Ge 0.380 0.380 0.201 1
```

Principal peaks in the range 2θ from 10° to 90°, in order of rising 2θ:
2theta  intensity
29.63  51
30.79  79
31.69  100
32.29  23
33.57  59
34.94  25
36.94  40
37.12  29
44.21  25
51.43  30

----------

Record 1
Starting from DFT lattice parameters and positions (GGA-PBE), the powder diffractogram of Mg14MnB was computed for Cu Kα (weighted mean of Kα1 and Kα2).
Neutral-atom scattering factors, no anomalous dispersion.

Atomic structure:
```
data_Mg14MnB
_symmetry_space_group_name_H-M 'P -6 m 2'
_symmetry_Int_Tables_number 187
_symmetry_space_group_name_Hall 'P -6 2'
_cell_length_a 6.1919
_cell_length_b 6.1919
_cell_length_c 10.0684
_cell_angle_alpha 90.00
_cell_angle_beta 90.00
_cell_angle_gamma 120.00
loop_
_atom_site_label
_atom_site_fract_x
_atom_site_fract_y
_atom_site_fract_z
Mg1 0.0000 0.0000 0.2479
Mg2 0.0123 0.5061 0.2533
Mg3 0.3312 0.1656 0.5000
Mg4 0.3354 0.1677 0.0000
Mn1 0.3333 0.6667 0.0000
B1 0.3333 0.6667 0.5000
```

Main lines, sorted by position (2θ from 10° to 90°):
2θ 18.7, intensity 10; 2θ 30.2, intensity 3; 2θ 33.4, intensity 24; 2θ 35.7, intensity 27; 2θ 38.0, intensity 100; 2θ 49.7, intensity 15; 2θ 59.7, intensity 16; 2θ 65.6, intensity 18; 2θ 71.6, intensity 18; 2θ 73.0, intensity 13

Record 2
Starting from DFT lattice parameters and positions (GGA-PBE), the powder diffractogram of Mg14BMo was computed for Cu Kα (weighted mean of Kα1 and Kα2).
Neutral-atom scattering factors, no anomalous dispersion.

Atomic structure:
```
data_Mg14BMo
_symmetry_space_group_name_H-M 'A m m 2'
_symmetry_Int_Tables_number 38
_cell_length_a 9.979
_cell_length_b 6.100
_cell_length_c 10.746
_cell_angle_alpha 90.00
_cell_angle_beta 90.00
+++
-- Outcome --
- (1 1 0), d 3.727, I = 15
- (3 2 0), d 1.462, I = 11
- (4 0 0), d 1.318, I = 11
- (3 3 1), d 1.209, I = 11
- (2 2 1), d 1.757, I = 8
- (3 2 1), d 1.409, I = 4

Crystal structure
a = 5.2707 Å, b = 5.2707 Å, c = 5.2707 Å
α = 90.00°, β = 90.00°, γ = 90.00°
Space group Pm-3m (No. 221)
Inequivalent atoms, fractional coordinates:
Na: 0.0000 0.0000 0.5000
Mn: 0.5000 0.5000 0.5000
F: 0.2779 0.2779 0.2779

----------

Diffraction record for La8Tc2Ge. The X-ray powder pattern is simulated, not measured: it uses the GGA-PBE geometry in Alexandria and a wavelength of 1.5418 Å.
Peak positions follow from Bragg's law for the DFT cell and can differ from measured ones.

Structural model:
```
data_La8Tc2Ge
_cell_length_a 8.150
_cell_length_b 8.150
_cell_length_c 5.768
_cell_angle_alpha 98.70
_cell_angle_beta 98.70
_cell_angle_gamma 113.53
_symmetry_space_group_name_H-M 'P 1'
_symmetry_Int_Tables_number 1
loop_
_symmetry_equiv_pos_as_xyz
'x,y,z'
loop_
_atom_site_label
_atom_site_type_symbol
_atom_site_fract_x
_atom_site_fract_y
_atom_site_fract_z
_atom_site_occupancy
La1 La 0.000 0.000 0.000 1
La2 La 0.056 0.307 0.635 1
La3 La 0.142 0.619 0.199 1
La4 La 0.307 0.056 0.635 1
La5 La 0.453 0.705 0.761 1
La6 La 0.619 0.142 0.199 1
La7 La 0.705 0.453 0.761 1
La8 La 0.760 0.760 0.397 1
Tc1 Tc 0.078 0.680 0.697 1
Tc2 Tc 0.680 0.078 0.697 1
Ge1 Ge 0.380 0.380 0.201 1
```

Principal peaks in the range 2θ from 10° to 90°, in order of rising 2θ:
2theta  intensity
29.63  51
30.79  79
31.69  100
32.29  23
33.57  59
34.94  25
36.94  40
37.12  29
44.21  25
51.43  30

----------

Record 1
Starting from DFT lattice parameters and positions (GGA-PBE), the powder diffractogram of Mg14MnB was computed for Cu Kα (weighted mean of Kα1 and Kα2).
Neutral-atom scattering factors, no anomalous dispersion.

Atomic structure:
```
data_Mg14MnB
_symmetry_space_group_name_H-M 'P -6 m 2'
_symmetry_Int_Tables_number 187
_symmetry_space_group_name_Hall 'P -6 2'
_cell_length_a 6.1919
_cell_length_b 6.1919
_cell_length_c 10.0684
_cell_angle_alpha 90.00
_cell_angle_beta 90.00
_cell_angle_gamma 120.00
loop_
_atom_site_label
_atom_site_fract_x
_atom_site_fract_y
_atom_site_fract_z
Mg1 0.0000 0.0000 0.2479
Mg2 0.0123 0.5061 0.2533
Mg3 0.3312 0.1656 0.5000
Mg4 0.3354 0.1677 0.0000
Mn1 0.3333 0.6667 0.0000
B1 0.3333 0.6667 0.5000
```

Main lines, sorted by position (2θ from 10° to 90°):
2θ 18.7, intensity 10; 2θ 30.2, intensity 3; 2θ 33.4, intensity 24; 2θ 35.7, intensity 27; 2θ 38.0, intensity 100; 2θ 49.7, intensity 15; 2θ 59.7, intensity 16; 2θ 65.6, intensity 18; 2θ 71.6, intensity 18; 2θ 73.0, intensity 13

Record 2
Starting from DFT lattice parameters and positions (GGA-PBE), the powder diffractogram of Mg14BMo was computed for Cu Kα (weighted mean of Kα1 and Kα2).
Neutral-atom scattering factors, no anomalous dispersion.

Atomic structure:
```
data_Mg14BMo
_symmetry_space_group_name_H-M 'A m m 2'
_symmetry_Int_Tables_number 38
_cell_length_a 9.979
_cell_length_b 6.100
_cell_length_c 10.746
_cell_angle_alpha 90.00
_cell_angle_beta 90.00